How to Make a Useful Infographic

Useful Steps:

A lot of work goes in to successfully presenting information. Infographics have become a more and more popular way to do so. Infographics portray data and information quickly and accurately to your audience. The first step to doing so is to truly understand what it is you are trying to explain. Once you do then you will begin data collection. This step is crucial because your data is your story, if your data is incorrect or doesn’t support your story then your visual will not be useful. After you have data that accurately reflects your idea you must be able to visualize it in a way that is not only clear but appealing to look at. The audience will not take much away from a visual that is confusing or dry. Avoid throwing too much information out in the infographic itself, let the visual do the storytelling.

Infographic Examples:

Below are two different charts using the same data to portray different messages. The use of colors are uniform between both graphs allowing you to flow back and forth between the two. Also helping that idea is how they stacked them on top of each other. Overall these two visuals provide a clear set of information that you could understand without really having any prior knowledge on the subject.

Data Set Examples

Attached is a link to a site with examples of many different, useful, data sets. Click the link to explore the different ways data can be manipulated.

Insightful Data Visualizations

Link to Image:

Infographics are an inventive and creative way to share information with others and hold their attention. The beauty of infographics is that there is no specific way that one should look, leaving creators with hundreds of different layouts to choose from. One such way to share information is through a data visualization, as shown above. Data visualizations are a form of infographics that allow a person to share a set of data through one big image rather than multiple facts and smaller images. In the case of the data visualization above, viewers are able to see just how many languages are spoken in the world. The creator of this visual decided that the best way to do this was to use a map of the world, with each small black dot representing the general area/region of the language. A data visualization like the language one puts into perspective how many different languages are spoken not only around the world, but also in a general area or community, which is something that a lot of people may not have been fully aware of before. If the number of languages were just listed in a chart with the region that it is spoken, it may not have been as fully effective as the one above. 

The creators of this data visualization are a part of a project known as After Babylon. Their goal, as stated on their website, was to analyze the “current linguistic situation of the world”. The map above was only one of many different maps and graphs shown on their website to help people fully grasp the language situation in the world. One of the brilliant features on their website was to make some of the maps and graphs interactive, making it easier to pinpoint languages and their origins for a full understanding. Overall, After Babylon’s work of the languages in the world using data visualizations and infographics proved just how important these tools are when it comes to sharing information with your audience and keeping them interested in the topic.

Insightful Data Visualization

┌──
--- P ---
AlH2Pb: relaxed, PBE.

Cell lengths 5.518, 5.518, 7.812 Å; angles 90.00, 90.00, 90.00 degrees
Space group I-42d (No. 122)
Symmetry-distinct sites (fractional):
Al: 0.000 0.000 0.000 x4
H: 0.064 0.750 0.125 x8
Pb: 0.000 0.000 0.500 x4

Computed properties:
magnetization = 0.0 μB/f.u.
Fermi-level density of states = 0.90 states/eV/f.u.


--- Q ---
AlH2Pb: relaxed, PBE.

Cell lengths 6.088, 6.088, 6.088 Å; angles 90.00, 90.00, 90.00 degrees
Space group Fm-3m (No. 225)
Symmetry-distinct sites (fractional):
Al: 0.000 0.000 0.000 x4
H: 0.250 0.250 0.250 x8
Pb: 0.000 0.000 0.500 x4

Computed properties:
magnetization = 0.0 μB/f.u.
Fermi-level density of states = 1.74 states/eV/f.u.


P wins, 399 meV per atom ahead of the next structure.


--- P ---
AlHPb: relaxed, PBE.

Cell lengths 11.755, 4.633, 4.831 Å; angles 90.00, 112.94, 90.00 degrees
Space group C2/m (No. 12)
Symmetry-distinct sites (fractional):
Al: 0.192 0.000 0.485 x4
H: 0.045 0.000 0.281 x4
Pb: 0.133 0.500 0.855 x4

Computed properties:
magnetization = 0.0 μB/f.u.
Fermi-level density of states = 0.23 states/eV/f.u.


--- Q ---
AlHPb: relaxed, PBE.

Cell lengths 7.221, 4.829, 6.900 Å; angles 90.00, 90.00, 90.00 degrees
Space group Pnma (No. 62)
Symmetry-distinct sites (fractional):
Al: 0.089 0.250 0.029 x4
H: 0.088 0.250 0.275 x4
Pb: 0.169 0.250 0.566 x4

Computed properties:
magnetization = 0.0 μB/f.u.
Fermi-level density of states = 0.32 states/eV/f.u.


--- R ---
AlHPb: relaxed, PBE.

Cell lengths 7.235, 5.033, 7.067 Å; angles 90.00, 90.00, 90.00 degrees
Space group Pnma (No. 62)
Symmetry-distinct sites (fractional):
Al: 0.000 0.000 0.000 x4
H: 0.079 0.250 0.453 x4
Pb: 0.136 0.750 0.372 x4

Computed properties:
magnetization = 0.0 μB/f.u.
Fermi-level density of states = 1.07 states/eV/f.u.


P wins, 47 meV per atom ahead of the next structure.

=====

# 1
DFT (PBE-GGA) results for a relaxed structure of Si2TcPb.

Output
SG ... P4/mmm (123)
Density of states at the Fermi level ... 0.513 states/eV/atom
Energy ... -6.185 eV per atom

a = 3.121 Å, b = 3.121 Å, c = 7.443 Å
α = 90.00°, β = 90.00°, γ = 90.00°
Sites, in units of the cell vectors:
Si  0.000  0.000  0.074
Si  0.000  0.000  0.426
Tc  0.500  0.500  0.250
Pb  0.500  0.500  0.750

# 2
DFT (PBE-GGA) results for a relaxed structure of NdMn2Se4.

Output
SG ... Cmcm (63)
Density of states at the Fermi level ... 0.284 states/eV/atom
Energy ... -6.227 eV per atom

a = 3.949 Å, b = 6.605 Å, c = 12.776 Å
α = 90.00°, β = 90.00°, γ = 107.40°
Sites, in units of the cell vectors:
Se  0.500  0.000  0.500
Se  0.774  0.547  0.110
Se  0.226  0.453  0.890
Se  0.500  0.000  0.000
Se  0.774  0.547  0.390
Se  0.226  0.453  0.610
Se  0.941  0.883  0.750
Se  0.059  0.117  0.250
Mn  0.868  0.736  0.934
Mn  0.868  0.736  0.566
Mn  0.132  0.264  0.066
Mn  0.132  0.264  0.434
Nd  0.386  0.772  0.250
Nd  0.614  0.228  0.750

Please write out number 1 again, unchanged.
DFT (PBE-GGA) results for a relaxed structure of Si2TcPb.

Output
SG ... P4/mmm (123)
└──
The entry goes on.

Data graphs are an essential way to display information effectively and efficiently. Graphs are essential to everyday and something seen all the time. Visual data has been around since 1786 when William Playfair used charts to showcase British trade and debts. One of the most important aspects of data visualization is clarity. In the image above, it depicts the relationship between student grades in AP Calculus and how well students perform on the test. What makes this infographic successful is the clarity shown throughout it. The infographic is clearly defined by the title given. They also included an interactive aspect to allow individuals to hover each column presented to view more details. By creating an interactive infographic, it causes more engagement due to the information scattered throughout. On the right hand side, they included important key details relating to the study. It allows for individuals to make their own discoveries and dissecting the information. According to UX Planet, “Insights are patterns in the observations we make in the world. They give us an understanding of a specific cause and effect within a specific context. They help us explain our observations.” Insights provide us with a different perspective in order to reframe the problem and provide a different way of thinking. The infographic above represents insightful data due to the offer of understanding of the topic.


Creating an Infographic

Here are some of the tools I found incredible to create an infographic in each pricing categories.

CANVA (Free)

Canva is a tool that perhaps well known among many especially younger people. Canva is hugely popular due to its simple way of creating an infographic, poster, presentation, etc… with a few touch of a button. As a free tool and with a wide selection template, Canva is no doubt a perfect place for creating high-quality visuals with no design experience required.

Adobe Illustrator (Monthly Subscription)

Adobe Illustrator is practically the industry standard and often the program of choice for professional graphic designers and digital artists. Its available tools and features allow to efficiently create and edit high-quality designs for a wide variety of uses. Comparing to other free choices, Adobe Illustrator is much more difficult to use due to professional settings. Adobe Illustrator is costly to use as its monthly subscription does not come in one application rather than a package with multiple applications.

Affinity Designer (One-time Purchase)

Designed as a cheaper alternative to Adobe Illustrator but a strong rising competitor. Affinity Designer can be use in a similar way to Adobe Illustrator but it has a much more gentler slope of learning comparing to its predecessor. Designer is also available to many platform with its iPad app became one of the best and best selling design apps on the market. One down side of Affinity Designer using on multiple platform is the need to purchase separately for tablet version and PC/Mac version.

Effective Data Visualization

-- Calculated crystals from another source follow --
~~~
A plane-wave DFT calculation with PBE with a Hubbard U was carried out for a relaxed structure of FeAgSeO4.

abc: 7.173 6.354 6.354
angles: 58.79 55.63 55.63
Fractional positions:
Fe: 0.000 0.000 0.000
Fe: 0.000 0.500 0.500
Ag: 0.500 0.000 0.500
Ag: 0.000 0.000 0.500
Se: 0.607 0.643 0.143
Se: 0.393 0.357 0.857
O: 0.729 0.738 0.805
O: 0.271 0.695 0.762
O: 0.729 0.305 0.238
O: 0.271 0.262 0.195
O: 0.185 0.747 0.247
O: 0.821 0.747 0.247
O: 0.179 0.253 0.753
O: 0.815 0.253 0.753

* energy: -73.55 eV per cell
~~~

Infographics are visual representations of any information or data that can be displayed through images, charts, or icons. The goal of using these is to summarize or break down concepts more concisely. I researched examples of insightful data visualizations where I found Harvard’s Business review article that covers this topic. The article highlights the importance of storytelling through infographics to engage with observers efficiently. Examples about creating visualizations that are informative is included in the text. One of the topics spoke on the Gartner Hype Cycle, it is “traditionally data-driven form—a line chart—but no actual data” which is a graphical representation used in research to track data. It is done using complete visuals to analyze progression of technology (Harvard Business Review). The circumstances are very business based and are used in real life situations which I found very interesting.


Insightful Data Visualization

Data graphics are an especially useful way to share information quickly and effectively. Somewhere data graphics can be useful is the classroom. To summarize from “8 Examples of How Middle Schools Can Incorporate Infographics in the Classroom” article from Venngage; within a classroom there is so much information for student to absorb. Having data graphics on the walls of the class would greatly help students in retaining information. Other ways data graphics could be used is for introducing new material to students, the visuals will be a nice aid for student who are learning topics for the first time. In conclusion information graphics can be a helpful tool for students.

Infographic Design Tools: Visme

The above link to the infographic image

In our daily life how many plastic bottles of water, cold drinks or coffee cups are we using no one have any idea about how much plastic waste is thrown into the ocean worldwide. However, with the help of infographics, it is very easy to track that which country is doing more plastic waste pollution. This is the data based on the distribution of total plastic waste generation by continent. The purpose of this blog is to estimate the percentage of plastic waste that was inadequately disposed of. These types of graphics present complex information quickly and clearly. The infographic provides a great amount of complex information in a clear and precise picture of the current surface plastic mass by the ocean, measuring it in a creative way. In a bar graph, we can see plastic waste management for every country in a colored bar chart. The names of the countries that report 100% of all their plastic waste handled properly are highlighted in bold. In addition, the GDP of the country and efficient plastic waste management don’t always correspond as we can see by the irregular patterns shown in the infographic.


The Importance Of Infographics and Data Visualizations

Infographics is an everyday part of our lives. There are many instances where it can be used to aid others in understanding certain complex concepts through the use of visual aids. It can be used anywhere from teachers trying to teach a class about a certain topic, or a marketing firm presenting a new product. One such method that uses infographics includes the use of data visualizations to not only observe but also predict the current course of asteroids in space. According to Visme, NASA’s eyes on asteroids visualizations ” provides up-to date information on the position and trajectory of asteroids”. This means that NASA is able to use the data visualization to possibly see any threats that could be approaching our planet and prepare ahead of time. Furthermore, as shown by the picture above, the data visualization contains a plethora of information about many asteroid paths with their names and projected paths. There are even some planets that are within our solar system such as Jupiter. The abundant amount of information being shown in such an easy to understand manner is only possible because of infographics. To add on to this, there is also a higher chance of the information being shown to be retained by the audience because of its simplicity. It has long been known that people are typically more likely to remember information that leave a strong impression on them, and portraying a 3D real time model of space is definitely one way to do that. However, predicting asteroids isn’t the only thing that infographics are used for. There are also many data visualizations that analyze the social or historical aspects of society such as the seven wonders. With that being said, Infographics is a major resource that can be utilized in many ways in order to learn, retain, and predict information.

Tools that may help us construct Infographics

There are many tools and websites that can help you construct an infographic with one easy search on Google. From my quick research, I found that the easiest websites to navigate (not the best) and create an infographic are Canva, Adobe Express, and Infogram. Canva is known for its user-friendly, intuitive interface that makes it usable by users with different degrees of design ability. To produce infographics with a professional appearance, you are not required to be a graphic designer. Infographic templates in a variety of designs, topics, and uses are available from Canva. These pre-designed, eye-catching templates can help you get going quickly. You can pick a template based on the type of content and presentation you prefer. Adobe Express makes it so have precise control over the design of your infographic, it enables you to generate scalable visuals and icons, utilize a variety of drawing tools, and work with layers. Infogram makes it easier to create infographics by providing a user-friendly interface, pre-designed templates, and data visualization tools, enabling users to quickly create informative and aesthetically pleasing infographics.

Sources :


Exceptional visualization examples: Kurzgesagt

Link to image: Kurzgesagt | Logopedia | Fandom

Link to channel: Kurzgesagt – In a Nutshell – YouTube

For this week’s blog post, I am sharing one of my favorite content creators from YouTube. Their channel is titled “Kurzgesagt – In a Nutshell,” and they specialize in short, scientific, informational videos. All of their content contains a great deal of creative, and effective infographics. Kurzgesagt excels at achieving the ideal blend of artistic expression and information display, often the main focus of information visualization. Combinations of encaptivating characters, objects, and places alongside smooth and crafty transitions help to educate the general public on some fascinating topics. All that is required is to find a topic or title that jumps out to you, and their videos will speak for themselves.